Is It Finally Time For You To Take A Digital Vacation?

If you didn't unplug all summer, it's not too late to do it now.

Is It Finally Time For You To Take A True Digital Vacation?

We take vacations to get away from it all, to rest, to see new things, and to learn about different cultures. A digital vacation is slightly different.

It’s a retreat from technology. And it doesn’t happen often enough.

As knowledge workers, we tend to spend a significant portion of the day (and night) in front of one screen or another.

And if you work remotely, like me, that means you can work on projects anywhere in the world. This means that you probably can work around the clock — and do that all too often.

If you’re a freelancer or a consultant, forget about it! You have a perfect storm for not being able to turn off.

Not only do you spend your time hustling for work or working to deliver results for your clients, but you probably work on projects you really like. This makes it even harder to turn off.

There’s very little stopping us except discipline, and sometimes, our own physical and mental limits.

The guests I interview on my podcast, Collaboration Superpowers, frequently talk about the difficulty in disconnecting:

If you’re the type of person who enjoys what they do, work could just consume you if you let it.
Jeremy Stanton, CTO and Co-Founder at Kali, LLC

I can do almost all of my work anywhere. And I love my job so it’s easy to always work.
Marion Smits, Associate Professor and Neuroradiologist at Erasmus MC, Rotterdam

I think that many people who end up being freelancers are really people who are workaholics.
Anna Nachesa, Software Developer at Google

We all know that taking regular vacations is healthy. But I’ve found that many people don’t recognize that a digital vacation is something different — and we need those too.

-- Crystal structures from another source follow --
- - -
# PBE-GGA Na5Ca3SnP3S3O24, relaxed
# * symmetry: No. 1
data_Na5Ca3SnP3S3O24
_chemical_formula_sum 'Na15 Ca9 Sn3 P9 S9 O72'
_symmetry_space_group_name_H-M 'P 1'
_symmetry_Int_Tables_number 1
_symmetry_space_group_name_Hall 'P 1'
_cell_length_a 9.276
_cell_length_b 9.271
_cell_length_c 23.174
_cell_angle_alpha 90.36
_cell_angle_beta 89.84
_cell_angle_gamma 119.91
loop_
_atom_site_label
_atom_site_type_symbol
_atom_site_fract_x
_atom_site_fract_y
_atom_site_fract_z
Na1 Na 0.997 0.636 0.262
Na2 Na 0.301 0.346 0.589
Na3 Na 0.025 0.688 0.578
Na4 Na 0.673 0.958 0.575
Na5 Na 0.668 0.697 0.078
Na6 Na 0.038 0.344 0.084
Na7 Na 0.985 0.677 0.909
Na8 Na 0.324 0.298 0.902
Na9 Na 0.694 0.680 0.420
Na10 Na 0.995 0.004 0.493
Na11 Na 0.999 0.990 0.992
Na12 Na 0.653 0.318 0.823
Na13 Na 0.657 0.293 0.339
Na14 Na 0.337 0.682 0.177
Na15 Na 0.330 0.644 0.673
Ca1 Ca 0.002 0.010 0.352
Ca2 Ca 0.994 0.005 0.846
Ca3 Ca 0.002 0.008 0.657
Ca4 Ca 0.007 0.997 0.149
Ca5 Ca 0.668 0.341 0.688
Ca6 Ca 0.658 0.326 0.187
Ca7 Ca 0.332 0.675 0.015
Ca8 Ca 0.326 0.667 0.510
Ca9 Ca 0.336 0.673 0.325
Sn1 Sn 0.668 0.330 0.977
Sn2 Sn 0.683 0.337 0.483
Sn3 Sn 0.338 0.667 0.822
P1 P 0.311 0.322 0.756
P2 P 0.961 0.330 0.584
P3 P 0.667 0.627 0.580
P4 P 0.951 0.621 0.081
P5 P 0.630 0.657 0.922
P6 P 0.034 0.374 0.921
P7 P 0.342 0.969 0.916
P8 P 0.641 0.982 0.423
P9 P 0.013 0.661 0.418
S1 S 0.299 0.992 0.251
S2 S 0.695 0.699 0.248
S3 S 0.007 0.312 0.246
S4 S 0.017 0.695 0.755
S5 S 0.676 0.985 0.752
S6 S 0.376 0.046 0.581
S7 S 0.673 0.043 0.080
S8 S 0.372 0.331 0.078
S9 S 0.348 0.361 0.422
O1 O 0.210 0.002 0.302
O2 O 0.798 0.792 0.299
O3 O 0.002 0.211 0.295
O4 O 0.218 0.222 0.809
O5 O 0.002 0.779 0.807
O6 O 0.779 0.996 0.801
O7 O 0.746 0.964 0.697
O8 O 0.214 0.245 0.699
O9 O 0.031 0.789 0.702
O10 O 0.773 0.790 0.194
O11 O 0.011 0.234 0.190
O12 O 0.207 0.984 0.197
O13 O 0.874 0.352 0.635
O14 O 0.476 0.122 0.633
O15 O 0.640 0.511 0.630
O16 O 0.861 0.519 0.134
O17 O 0.655 0.123 0.131
O18 O 0.471 0.338 0.128
O19 O 0.450 0.311 0.023
O20 O 0.838 0.529 0.024
O21 O 0.684 0.141 0.026
O22 O 0.458 0.151 0.529
O23 O 0.688 0.543 0.521
O24 O 0.850 0.301 0.528
O25 O 0.564 0.678 0.979
O26 O 0.124 0.442 0.978
O27 O 0.314 0.868 0.970
O28 O 0.566 0.885 0.479
O29 O 0.330 0.434 0.476
O30 O 0.104 0.670 0.474
O31 O 0.094 0.640 0.363
O32 O 0.532 0.892 0.371
O33 O 0.372 0.472 0.373
O34 O 0.126 0.505 0.871
O35 O 0.370 0.884 0.862
O36 O 0.506 0.629 0.871
O37 O 0.982 0.809 0.415
O38 O 0.817 0.003 0.417
O39 O 0.205 0.192 0.415
O40 O 0.015 0.204 0.910
O41 O 0.191 0.995 0.908
O42 O 0.810 0.795 0.912
O43 O 0.980 0.173 0.586
O44 O 0.208 0.032 0.585
O45 O 0.831 0.798 0.584
O46 O 0.959 0.792 0.079
O47 O 0.833 0.040 0.080
O48 O 0.199 0.190 0.080
O49 O 0.652 0.130 0.750
O50 O 0.488 0.350 0.755
O51 O 0.875 0.524 0.753
O52 O 0.691 0.536 0.248
O53 O 0.856 0.333 0.250
O54 O 0.470 0.137 0.250
O55 O 0.630 0.483 0.920
O56 O 0.857 0.366 0.921
O57 O 0.503 0.150 0.920
O58 O 0.652 0.158 0.425
O59 O 0.507 0.352 0.424
O60 O 0.831 0.498 0.420
- - -

So in this article, I’m going to help you understand:

Attached: materials data =
┌──
# Mg2PO8 PBE-GGA relaxed
# Energy relative to the elements (eV per atom): -1.51
# Magnetization (μB per formula unit): 7.0
data_Mg2PO8
_cell_length_a 4.6441
_cell_length_b 12.0683
_cell_length_c 10.0844
_cell_angle_alpha 90.00
_cell_angle_beta 100.85
_cell_angle_gamma 90.00
_space_group_name_H-M_alt 'P 1 21/c 1'
_space_group_IT_number 14
loop_
_space_group_symop_operation_xyz
'x,y,z'
'-x,-y,-z'
'-x,y+1/2,-z+1/2'
'x,-y+1/2,z+1/2'
loop_
_atom_site_label
_atom_site_type_symbol
_atom_site_fract_x
_atom_site_fract_y
_atom_site_fract_z
Mg1 Mg 0.0221 0.2344 0.4825
Mg2 Mg 0.0953 0.5103 0.1826
P1 P 0.4015 0.1863 0.2552
O1 O 0.0819 0.6487 0.8519
O2 O 0.1730 0.0642 0.5108
O3 O 0.2279 0.0749 0.2359
O4 O 0.2407 0.2275 0.8291
O5 O 0.2642 0.6129 0.4682
O6 O 0.2917 0.6630 0.1618
O7 O 0.4116 0.2286 0.1105
O8 O 0.4321 0.0259 0.8590

---

# SiO2 PBE-GGA relaxed
# Energy relative to the elements (eV per atom): -3.25
data_SiO2
_cell_length_a 9.1770
_cell_length_b 15.1928
_cell_length_c 19.3149
_cell_angle_alpha 90.00
_cell_angle_beta 90.00
_cell_angle_gamma 90.00
_space_group_name_H-M_alt 'C m c e'
_space_group_IT_number 64
_space_group_name_Hall '-C 2ac 2'
loop_
_atom_site_label
_atom_site_type_symbol
_atom_site_fract_x
_atom_site_fract_y
_atom_site_fract_z
Si1 Si 0.1714 0.0031 0.0824
Si2 Si 0.1743 0.1558 0.8209
Si3 Si 0.1758 0.1429 0.3221
O1 O 0.0000 0.0227 0.0990
O2 O 0.0000 0.1370 0.3152
O3 O 0.0000 0.1540 0.8093
O4 O 0.2002 0.0000 0.0000
O5 O 0.2194 0.0916 0.8847
O6 O 0.2264 0.2440 0.3382
O7 O 0.2298 0.0812 0.3853
O8 O 0.2500 0.1094 0.2500
O9 O 0.2500 0.1208 0.7500

---

# Te2MoW3Se6 PBE-GGA relaxed
# Energy relative to the elements (eV per atom): -0.68
# Magnetization (μB per formula unit): 0.0
data_Te2MoW3Se6
_cell_length_a 3.3817
_cell_length_b 3.3817
_cell_length_c 38.4803
_cell_angle_alpha 90.00
_cell_angle_beta 90.00
_cell_angle_gamma 120.00
_space_group_name_H-M_alt 'P 3 m 1'
_space_group_IT_number 156
loop_
_space_group_symop_operation_xyz
'x,y,z'
'-y,x-y,z'
'-x+y,-x,z'
'-y,-x,z'
'-x+y,y,z'
'x,x-y,z'
loop_
_atom_site_label
_atom_site_type_symbol
_atom_site_fract_x
_atom_site_fract_y
_atom_site_fract_z
Te1 Te 0.0000 0.0000 0.0000
Te2 Te 0.0000 0.0000 0.0982
Mo1 Mo 0.0000 0.0000 0.4854
W1 W 0.0000 0.0000 0.8612
W2 W 0.3333 0.6667 0.0491
W3 W 0.3333 0.6667 0.6733
Se1 Se 0.0000 0.0000 0.6302
Se2 Se 0.0000 0.0000 0.7165
Se3 Se 0.3333 0.6667 0.4425
Se4 Se 0.3333 0.6667 0.5284
Se5 Se 0.3333 0.6667 0.8181
Se6 Se 0.3333 0.6667 0.9043

---

# AgI PBE-GGA relaxed
# Energy relative to the elements (eV per atom): -0.45
data_AgI
_cell_length_a 4.5891
_cell_length_b 4.5891
_cell_length_c 6.6732
_cell_angle_alpha 90.00
_cell_angle_beta 90.00
_cell_angle_gamma 90.00
_space_group_name_H-M_alt 'P 4/n m m'
_space_group_IT_number 129
loop_
_space_group_symop_operation_xyz
'x,y,z'
'-x,-y,-z'
'-y+1/2,x,z'
'y+1/2,-x,-z'
'-x+1/2,-y+1/2,z'
'x+1/2,y+1/2,-z'
'y,-x+1/2,z'
'-y,x+1/2,-z'
'x+1/2,-y,-z'
'-x+1/2,y,z'
'-y,-x,-z'
'y,x,z'
'-x,y+1/2,-z'
'x,-y+1/2,z'
'y+1/2,x+1/2,-z'
└──

  • What a true digital vacation looks like
  • Why you might need one…and not even realize it
  • How to recognize the signs that your digital vacation is overdue

I’m also going to reveal what my own digital vacation looks like, including how I build in steps to reduce the toll it takes on the rest of my work life (and how you can do the same).

Let’s get started!

What does a digital vacation look like?

A digital vacation essentially means getting away from our screens and the near-constant flow of information, alerts, questions, and updates.

When we put aside our phones, tablets, computers, and televisions, we get to spend time doing other things. We suddenly have space and time for cooking, listening to music, spending time outside, reading (physical books), exercising, all those things we used to enjoy before 2007 when smartphones began invading our pockets.

Work-life balance is a slippery slope because you can get stuck in this point where you’re always on and you never unplug. But that’s a matter of self-management. And part of managing ourselves is setting strict boundaries and guidelines for what’s okay and what’s not okay.
Phil Montero, Systems Engineer at The Garam Group, LLC

When I read about the negative effectives of hyper connectivity, internet addiction is almost always mentioned. I certainly feel the addictive quality myself.

I often vow to not check my phone first thing in the mornings, but find myself slipping again and again.

How often have you vowed to not check your phone after 7pm?

Yeah, me too. It’s not easy to stick to our own boundaries — which makes it even more crucial to get away from it all.

Why would I want to take a digital vacation?

As a remote knowledge worker, I am especially connected online. Almost everything I touch is in the cloud. I love my work and feel I have a good work-life fusion so going offline is not something I feel inclined to do.

But sometimes, in order to find balance, it’s good to swing to the other extreme.

A true digital vacation lasts at least 24 hours. And at most, it lasts as long as we can stand it.

How many hours per day do you spend staring at a screen of some kind? How many times per day do you check your phone?

Honestly, I’m too embarrassed to publicly publish the answers to those questions. And I’m betting a few of you reading this can relate. One thing that turning off our devices does is make us more conscious of our digital habits.

I had the opportunity to interview one of the teams at NASA. They told me that staring into a monitor during their online meetings for prolonged periods of time made team members tired and affected performance (not to mention quality of life).

So they made a change. Now for every 50 minutes, they break for 10 and ask everyone to stand up, do something physical, and focus the eyes on something in the distance.

These hourly breaks during online meetings do wonders to reduce “virtual fatigue.”

You can apply NASA’s best practice more broadly and disconnect for more than 10 minutes. In truth, we know that staring at a monitor for 50 minutes wears us down. What we don’t exactly know is how being connected to our gadgets 24-7 is affecting us. But chances are, it’s not all positive.

What are the signs that you need a digital vacation?

Personally, I know I need a digital vacation when I start to feel frenzied, overwhelmed, stuck, overly tired, or unfocused for long periods of time.

Recognize any of those symptoms? If so, consider a short break.

If you recognize all of those symptoms, it’s time to start making plans for a serious digital vacation. Now.

As a knowledge worker, you have to combine working with getting enough rest. You have to know when you’re procrastinating and then consciously stop. Sometimes it means powering through, and sometimes it means taking a break. You need the self-knowledge to be able to take care of yourself properly.
Maarten Koopmans, Director of Strategic Advice at

I love technology as much as the next person and I love being in touch with my friends so easily. But let’s face it, if you’re a knowledge worker, and it’s been more than 3 months since you’ve gone offline for 24 hours, it’s time to take a digital break.

Pro tips for a great digital vacation

Once you accept that you need to set aside time to disconnect, the advice is simple: “Do something that will work for you.”

Try going offline one day per week.

Try alternating days.

Try a digital detox retreat.

It’s hard to break our regular routines, so whatever will work for you, do that!

Last year, I was invited to join some friends on an alpine adventure. We set up camp for 10 days at a high-altitude campsite (i.e., cold!) with minimal facilities (no electricity or running water). From there, we would trek into the mountains for various hiking and climbing adventures.

It was the perfect opportunity to try a digital vacation. Ten days offline reinforced how important it was for me to rest, exercise, and be outside. And how important it is to free my mind from having to keep on top of everything for a little while.

I like to have a plan when I disconnect. For example, being in the mountains acts as a perfect distraction from being online. Once I’m hiking or climbing, I quickly forget about what’s happening on Twitter or how many words per day I’m supposed to be writing.

Before I leave, I set my out of office reply, inform friends and colleagues that I will be offline, and announce it on my social media. I also plan a couple of quiet days when I return so I have proper time to catch up with everything that went on while I was away.

But really, even without all the planning, it’s fine to just go offline, let the mind wander, and give it some room to breathe.

The world will go on without us and it will be there again when we get back.

We have a fear of missing out on things that might reach us through our screens — but we have to remember to go out and have experiences in the first place.

So when will you take your digital vacation?